Ontario's financial services regulator sets out guidance on default features used to improve retirement outcomes

The Financial Services Regulatory Authority of Ontario (FSRA) has affirmed that automatic features in defined contribution plans, which are meant to promote financially beneficial outcomes among plan members, are not prohibited by law.
“The Guidance affirms that the Pension Benefits Act and its Regulations do not prohibit the use of automatic features,” the regulator said in a statement Monday. “Features including auto-enrollment, auto-escalation and default funds may enhance retirement outcomes for plan members.”
In its guidance, FSRA said research done in the U.S., the U.K, and Australia has shown that automatic features could potentially enhance retirement savings outcomes for members of defined contribution plans.
With default options, the regulator said, plan sponsors often hope to produce positive retirement outcomes for the typical plan member, as well as “address general inertia often seen in DC plans.” Such “automatic” features are also distinguished from “mandatory” options, it added, by the fact that members still have the right to “opt out” of the default.
Based on research in other jurisdictions, FSRA said that automatically enrolling employees into a plan and automatically raising their contribution rates over time helps members build up their retirement savings during retirement, and helps ensure employees are maximizing the benefit of employer matching contributions. Default funds and their associated fees, the regulator added, have important ramifications in helping workers get financially ready for retirement.
=====
Here is a molecular structure, C6H11P from the Open Molecules 2025 dataset. Energies are from ωB97M-V/def2-TZVPD.

Each line ends with the Löwdin charge.
Geometry (Å):
C 1.43 -1.45 -0.93  -0.199
C 1.36 -0.15 -0.68  -0.365
C 0.05 2.03 2.25  -0.142
C 0.31 -2.04 -1.73  -0.265
C -0.81 -0.99 -1.82  -0.393
C -0.67 1.41 0.94  -0.257
P -0.15 0.66 -1.23  0.978
H 2.25 -2.09 -0.63  0.094
H 2.10 0.41 -0.13  0.056
H 0.77 2.80 2.00  0.045
H -0.77 2.44 2.84  0.055
H 0.69 -2.27 -2.73  0.107
H -0.04 -2.98 -1.29  0.101
H -1.08 -0.81 -2.86  0.057
H -1.72 -1.29 -1.29  0.068
H 0.54 1.24 2.82  0.046
H -1.35 2.17 0.56  -0.003
H -1.24 0.53 1.25  0.017

## Properties
Gap between HOMO and LUMO (eV): 8.25
Relative energy (zero: lowest compared OMol25 entry of this formula, charge and spin) (kJ/mol): 127.63
E_LUMO (eV): 0.6
Net charge: 0
Calculated total energy (Eh): -576.46900
Highest occupied orbital energy (eV): -7.643

----------

[1]
{"formula": "C18H30N6O12", "method": "wB97M-V/def2-TZVPD", "homo_lumo_gap_ev": 8.72, "largest_force_ha_per_bohr": 0.043, "elements": ["C", "N", "O", "O", "H", "H", "H", "C", "N", "O", "O", "H", "H", "H", "C", "N", "O", "O", "H", "H", "H", "C", "N", "O", "O", "H", "H", "H", "C", "N", "O", "O", "H", "H", "H", "C", "N", "O", "O", "H", "H", "H", "C", "C", "C", "C", "C", "C", "H", "H", "H", "H", "H", "H", "C", "C", "C", "C", "C", "C", "H", "H", "H", "H", "H", "H"], "xyz": [[-1.71, 3.58, -4.66], [-1.47, 2.37, -3.82], [-1.65, 2.58, -2.63], [-1.18, 1.29, -4.32], [-1.45, 4.46, -4.08], [-2.77, 3.47, -4.86], [-1.18, 3.50, -5.61], [-0.53, -3.83, 0.20], [-0.38, -3.50, 1.64], [-0.99, -4.12, 2.48], [0.37, -2.57, 1.90], [-0.95, -4.84, 0.12], [0.48, -3.83, -0.21], [-1.14, -3.06, -0.26], [0.20, -1.07, 4.75], [-0.76, -0.28, 3.95], [-0.37, 0.81, 3.59], [-1.88, -0.73, 3.75], [0.11, -0.76, 5.78], [1.23, -0.93, 4.44], [-0.14, -2.10, 4.66], [-1.63, 1.64, 0.62], [-1.82, 0.20, 0.25], [-0.86, -0.39, -0.18], [-2.92, -0.28, 0.44], [-0.62, 1.93, 0.34], [-1.74, 1.68, 1.71], [-2.29, 2.24, 0.03], [-5.05, -0.33, 2.72], [-6.07, -0.21, 1.63], [-6.25, 0.88, 1.15], [-6.72, -1.21, 1.41], [-4.27, -1.07, 2.51], [-5.61, -0.59, 3.60], [-4.62, 0.67, 2.85], [-0.13, 4.99, -0.31], [0.69, 4.41, 0.79], [1.44, 3.49, 0.50], [0.53, 4.86, 1.91], [0.34, 4.52, -1.18], [-0.01, 6.06, -0.26], [-1.18, 4.72, -0.27], [4.38, 0.52, 0.08], [5.21, -0.31, 0.82], [4.65, -1.06, 1.91], [3.33, -1.01, 2.21], [2.50, -0.17, 1.42], [3.02, 0.61, 0.40], [4.81, 1.23, -0.60], [6.28, -0.42, 0.61], [5.32, -1.66, 2.50], [2.84, -1.63, 2.95], [1.43, -0.20, 1.54], [2.36, 1.20, -0.22], [0.39, -1.51, -2.97], [1.51, -1.55, -2.14], [2.71, -2.20, -2.53], [2.75, -2.79, -3.81], [1.60, -2.74, -4.61], [0.45, -2.10, -4.23], [-0.53, -1.03, -2.68], [1.48, -1.09, -1.16], [3.53, -2.25, -1.84], [3.63, -3.30, -4.21], [1.71, -3.16, -5.61], [-0.42, -2.01, -4.89]]}

***

[2]
=====
“FSRA encourages plan administrators to review leading practices in selecting a default fund,” it said, referring to Guideline No. 3 and Guideline No. 8 from the Canadian Association of Pension Supervisory Authorities (CAPSA) on considerations when selecting defaults.
Plan administrators and sponsors, it added, have a fiduciary obligation in selecting and monitoring default funds and fees as the standard prescribed by the Pension Benefits Act (PBA) and common law calls for assets in plans to be “invested with the care, diligence and skill required of a fiduciary.”
In response to stakeholders who’ve raised concerns about possible legal impediments, FSRA said there’s nothing in the PBA that prohibits the use of automatic features in Ontario DC plans. And while the adoption of automatic features may have implications for matters outside of the PBA – with respect to employee contracts, for example – the regulator said many stakeholders have “satisfied themselves with respect to such concerns.”
But even as the provincial regulator touted the potential benefits of automatic features, it emphasized that automatic features may be a poor fit, depending on the unique aspects of each plan.
Molecular data that have nothing to do with the text:
____________
The following is a DFT calculation (ωB97M-V/def2-TZVPD) of C4H7NO in the gas phase.

Output
- DFT total energy: -7795.5803 eV
- ΔE to the lowest compared entry with this formula, charge and spin: 93.7 kcal/mol
- HOMO-LUMO gap (spin up / spin down): 7.2 / 7.2 eV
- 2S+1: 1
- HOMO (spin up / spin down): -7.6 / -7.6 eV
- Charge: 0
- M: 85.11 g mol⁻¹

Last column: natural (NBO) charge in e.
Element x y z (Å)
N (-1.00, -1.08, -0.13)  -0.82
C (-0.83, 0.04, -1.08)  0.56
O (-1.59, 0.15, -2.03)  -0.64
C (0.24, 0.86, -0.69)  -0.38
C (1.31, 0.39, 0.26)  -0.52
C (0.39, -0.05, 1.29)  -0.08
H (-1.86, -0.94, 0.39)  0.38
H (-1.12, -1.94, -0.66)  0.38
H (0.32, 1.86, -1.11)  0.22
H (2.01, -0.37, -0.10)  0.22
H (1.87, 1.27, 0.60)  0.26
H (-0.18, 0.71, 1.82)  0.20
H (0.40, -1.04, 1.73)  0.20

The following is a DFT calculation (ωB97M-V/def2-TZVPD) of 4 unconnected molecules or ions with the total composition C32H36FNO13PS.

Output
- DFT total energy: -84704.5547 eV
- ΔE to the lowest compared entry with this formula, charge and spin: 198.0 kcal/mol
- HOMO-LUMO gap: 5.9 eV
- 2S+1: 1
- HOMO: -5.3 eV
- Charge: -1
- M: 724.67 g mol⁻¹

Last column: Mulliken charge in e.
Element x y z (Å)
C (-2.18, 0.87, 4.26)  -0.69
C (-0.99, 0.43, 3.87)  0.11
C (0.51, -0.05, 3.43)  -0.52
C (0.51, 0.04, 1.79)  -0.16
C (1.27, 1.23, 1.04)  1.12
C (2.05, 2.38, 1.84)  -0.43
O (3.02, 2.01, 2.59)  -0.54
N (1.75, 3.84, 1.78)  -0.14
C (0.38, 4.12, 1.31)  0.59
O (-0.61, 3.93, 2.06)  -0.44
F (0.10, 4.68, -0.01)  -0.26
C (1.25, 1.35, -0.56)  0.45
C (1.98, 2.53, -1.39)  -1.10
C (3.48, 1.99, -1.78)  -0.41
C (4.33, 1.59, -0.47)  0.34
O (5.11, 2.41, 0.12)  -0.57
O (4.21, 0.23, 0.01)  -0.41
C (0.44, 0.22, -1.31)  0.31
C (-0.31, -0.98, -0.56)  0.56
C (-0.29, -1.10, 1.02)  0.46
C (-1.05, -2.35, 1.76)  0.04
O (-0.41, -3.29, 2.38)  -0.70
O (-2.47, -2.33, 1.68)  -0.65
C (-1.13, -2.04, -1.50)  -0.34
O (-1.20, -3.29, -1.25)  -0.49
C (-1.83, -1.36, -2.81)  0.59
P (-3.53, -2.05, -3.29)  0.23
S (-3.42, -3.08, -4.94)  -0.45
C (-1.15, -0.27, -3.49)  0.15
C (-1.87, 0.45, -4.77)  -1.12
C (-2.89, 1.55, -4.11)  -0.11
O (-2.11, 2.32, -3.13)  -0.29
C (-2.87, 2.52, -1.91)  0.58
C (-3.63, 3.90, -1.55)  -1.00
O (-2.98, 1.56, -1.07)  -0.22
C (0.30, 0.25, -2.94)  -0.03
O (1.25, 0.61, -3.71)  -0.62
H (-3.15, 0.95, 4.88)  0.33
H (0.64, -1.12, 3.81)  0.41
H (1.25, 0.72, 3.88)  0.31
H (2.46, 4.30, 1.18)  0.40
H (1.45, 2.80, -2.37)  0.40
H (2.13, 3.49, -0.78)  0.26
H (3.44, 1.06, -2.48)  0.31
H (3.99, 2.85, -2.38)  0.40
H (4.83, 0.09, 0.77)  0.33
H (-3.95, -2.96, -2.23)  0.14
H (-4.56, -1.02, -3.32)  0.08
H (-2.41, -0.30, -5.46)  0.31
H (-1.08, 1.09, -5.34)  0.31
H (-3.41, 2.21, -4.89)  0.34
H (-3.65, 0.92, -3.49)  0.01
H (-4.45, 4.10, -2.36)  0.29
H (-2.92, 4.80, -1.42)  0.26
H (-4.22, 3.82, -0.55)  0.27
C (-4.94, 0.27, 1.72)  -0.72
C (-6.17, 0.39, 0.86)  0.79
O (-6.07, 0.44, -0.36)  -0.56
C (-7.51, 0.46, 1.54)  -1.25
H (-4.05, 0.23, 1.10)  0.06
H (-4.87, 1.13, 2.39)  0.32
H (-5.00, -0.66, 2.31)  0.36
H (-7.55, 1.33, 2.19)  0.31
____________
“Plan member demographics are important factors when considering automatic features,” FSRA said, citing areas such as age, earnings, and financial literacy as some areas that must be taken into account.